[To do]
Please return the entries further down without additions.

[Data]
This record from the OMol25 dataset describes C15H9CoN3O9 as an isolated structure. The level of theory is wB97M-V/def2-TZVPD.

Its expectation value of S² is 0.757. Its net charge is -2. The multiplicity is 2. The HOMO energy (alpha / beta) comes out at -1.0 / -1.0 eV. The energy relative to the best compared isomer or geometry (same formula, charge and spin) comes out at 32.78 kJ/mol. For the total energy, the calculation gives -76225.687 eV. As for the gap between HOMO and LUMO (alpha / beta): 5.37 / 5.43 eV.

Atoms and positions in Å:
Co1 1.06507 0.36638 0.17265
O1 5.21526 0.69439 4.53318
C1 4.39076 0.66111 3.64052
C2 4.68696 0.71732 2.16018
O2 5.79819 0.80308 1.65574
C3 3.38359 0.63461 1.50764
C4 2.35175 0.48761 2.47860
O3 1.14766 0.34067 2.08940
C5 2.89995 0.51124 3.82809
O4 2.32286 0.42353 4.90402
O5 3.08245 0.63402 0.27290
O6 1.02683 0.22107 -1.70017
N1 0.27827 -0.66831 -2.18018
N2 -0.28063 -1.39466 -1.29144
O7 -0.04966 -1.24594 -0.00746
C6 -1.17839 -2.41217 -1.70395
C7 -1.42861 -2.66669 -3.04928
C8 -2.30795 -3.67672 -3.39964
C9 -2.94264 -4.43705 -2.42426
C10 -2.68616 -4.16855 -1.08932
C11 -1.80656 -3.15835 -0.72236
H1 -0.93349 -2.06359 -3.79596
H2 -2.50301 -3.87267 -4.44740
H3 -3.63027 -5.22623 -2.70420
H4 -3.17791 -4.74976 -0.31862
H5 -1.59241 -2.92300 0.30989
O8 1.14706 3.60601 1.17571
C12 0.10733 3.26041 0.64770
C13 -1.09066 4.21092 0.48985
C14 -2.12226 3.37012 -0.24335
C15 -1.42396 2.01428 -0.41892
O9 -1.96484 1.07148 -0.98670
N3 -0.17895 2.03371 0.11841
H6 -0.76356 5.09275 -0.06270
H7 -1.40634 4.53827 1.48107
H8 -2.38608 3.75525 -1.22977
H9 -3.04967 3.21547 0.31012

----------

Entry 1:
77
Properties=species:S:1:pos:R:3:mulliken_charge:R:1 method="wB97M-V/def2-TZVPD" homo_lumo_gap_ev=5.705 charge=-2 e_tot_ev=-135303.8031 relative_energy_kcal_mol=7.6
Ba -0.0066 -1.3201 0.0565 1.7443
N 3.6683 0.9503 1.4526 -0.8011
C 2.9642 -0.0698 2.2077 -1.2998
C 1.4526 -0.1065 2.0257 1.2486
O 0.9298 0.7595 1.2325 -0.6224
N 0.6903 -1.0525 2.5515 -0.4044
C 1.3373 -2.2639 3.1102 -0.8642
C 1.7575 -3.3534 2.0519 0.4168
O 2.0510 -4.4748 2.4553 -0.8222
O 1.7412 -2.9278 0.8491 -0.5492
H 3.1698 1.8286 1.5516 0.3391
H 3.5723 0.7527 0.4603 0.3519
H 3.1776 0.0436 3.2775 0.3047
H 3.3584 -1.0512 1.9348 0.3689
H 0.6368 -2.7572 3.7874 0.3167
H 2.2336 -2.0493 3.7057 0.2976
C 0.4999 5.0679 -1.4796 -2.1424
C 0.4531 3.9228 -0.4797 2.5361
C -0.9448 3.7921 0.1361 -1.7756
C 1.4670 4.1552 0.6358 -1.6422
N 0.8605 2.6730 -1.1497 -0.2046
N -0.1663 2.2263 -2.0505 -0.6649
H 0.1771 6.0049 -1.0183 0.3465
H -0.1537 4.8537 -2.3262 0.4300
H 1.5168 5.1886 -1.8590 0.4393
H -1.2275 4.6940 0.6894 0.4854
H -0.9714 2.9513 0.8329 0.1753
H -1.7001 3.6219 -0.6318 0.4788
H 1.2795 5.1229 1.1090 0.4411
H 2.4820 4.1506 0.2325 0.4461
H 1.3907 3.3801 1.4004 0.0590
H 0.9851 1.9849 -0.4073 0.1472
H 0.2736 1.5683 -2.6842 0.2335
H -0.8642 1.6993 -1.5286 0.2022
Br 0.8860 -8.4685 -2.4084 -0.2276
C 0.4981 -6.6624 -1.9896 0.2977
C -0.5261 -6.3672 -1.1127 -0.7082
C -0.7669 -5.0267 -0.8496 -0.2003
N -0.0669 -4.0338 -1.3870 0.2009
C 0.9234 -4.3473 -2.2204 0.0216
C 1.2459 -5.6540 -2.5596 -0.7749
H -1.1116 -7.1422 -0.6396 0.4080
H -1.5609 -4.7253 -0.1768 0.3786
H 1.4851 -3.5081 -2.6126 0.1074
H 2.0628 -5.8612 -3.2356 0.4342
F 4.2788 -1.2296 -5.6268 -0.3800
C 3.4222 -1.1621 -4.5474 0.5861
C 3.9429 -1.2646 -3.2773 -0.8661
C 3.0564 -1.2041 -2.1952 -0.2522
C 1.6599 -1.0194 -2.3028 -0.5801
C 1.2435 -0.9213 -3.6455 -0.2727
C 2.0761 -0.9922 -4.7725 -0.6383
H 5.0108 -1.3985 -3.1470 0.3837
H 3.5147 -1.3182 -1.2133 0.3683
H 0.1852 -0.7848 -3.8766 0.3251
H 1.7061 -0.9128 -5.7877 0.3830
C -4.9318 3.1898 1.4168 -1.5772
C -3.8864 2.3931 2.1346 1.1359
C -3.0598 2.9842 3.0775 -0.7149
C -2.0572 2.2556 3.6938 0.2323
Cl -1.0008 3.0715 4.8559 -0.3236
C -1.8513 0.9259 3.3987 -0.7106
C -2.6893 0.3143 2.4730 -0.6992
C -3.6846 1.0411 1.8444 0.6734
O -4.5100 0.5237 0.9021 -0.4763
C -4.2443 -0.8092 0.4991 -0.6865
C -2.9028 -0.9934 -0.2109 0.7109
O -2.2865 0.0244 -0.6032 -0.6929
O -2.4862 -2.1949 -0.2480 -0.7949

[Response]
This record from the OMol25 dataset describes C15H9CoN3O9 as an isolated structure. The level of theory is wB97M-V/def2-TZVPD.

Its expectation value of S² is 0.757. Its net charge is -2. The multiplicity is 2. The HOMO energy (alpha / beta) comes out at -1.0 / -1.0 eV. The energy relative to the best compared isomer or geometry (same formula, charge and spin) comes out at 32.78 kJ/mol. For the total energy, the calculation gives -76225.687 eV. As for the gap between HOMO and LUMO (alpha / beta): 5.37 / 5.43 eV.

Atoms and positions in Å:
Co1 1.06507 0.36638 0.17265
O1 5.21526 0.69439 4.53318
C1 4.39076 0.66111 3.64052
C2 4.68696 0.71732 2.16018
O2 5.79819 0.80308 1.65574
C3 3.38359 0.63461 1.50764
C4 2.35175 0.48761 2.47860
O3 1.14766 0.34067 2.08940
C5 2.89995 0.51124 3.82809
O4 2.32286 0.42353 4.90402
O5 3.08245 0.63402 0.27290
O6 1.02683 0.22107 -1.70017
N1 0.27827 -0.66831 -2.18018
N2 -0.28063 -1.39466 -1.29144
O7 -0.04966 -1.24594 -0.00746
C6 -1.17839 -2.41217 -1.70395
C7 -1.42861 -2.66669 -3.04928
C8 -2.30795 -3.67672 -3.39964
C9 -2.94264 -4.43705 -2.42426
C10 -2.68616 -4.16855 -1.08932
C11 -1.80656 -3.15835 -0.72236
H1 -0.93349 -2.06359 -3.79596
H2 -2.50301 -3.87267 -4.44740
H3 -3.63027 -5.22623 -2.70420
H4 -3.17791 -4.74976 -0.31862
H5 -1.59241 -2.92300 0.30989
O8 1.14706 3.60601 1.17571
C12 0.10733 3.26041 0.64770
C13 -1.09066 4.21092 0.48985
C14 -2.12226 3.37012 -0.24335
C15 -1.42396 2.01428 -0.41892
O9 -1.96484 1.07148 -0.98670
N3 -0.17895 2.03371 0.11841
H6 -0.76356 5.09275 -0.06270
H7 -1.40634 4.53827 1.48107
H8 -2.38608 3.75525 -1.22977
H9 -3.04967 3.21547 0.31012

----------

Entry 1:
77
Properties=species:S:1:pos:R:3:mulliken_charge:R:1 method="wB97M-V/def2-TZVPD" homo_lumo_gap_ev=5.705 charge=-2 e_tot_ev=-135303.8031 relative_energy_kcal_mol=7.6
Ba -0.0066 -1.3201 0.0565 1.7443
N 3.6683 0.9503 1.4526 -0.8011
C 2.9642 -0.0698 2.2077 -1.2998
C 1.4526 -0.1065 2.0257 1.2486
O 0.9298 0.7595 1.2325 -0.6224
N 0.6903 -1.0525 2.5515 -0.4044
C 1.3373 -2.2639 3.1102 -0.8642
C 1.7575 -3.3534 2.0519 0.4168
O 2.0510 -4.4748 2.4553 -0.8222
O 1.7412 -2.9278 0.8491 -0.5492
H 3.1698 1.8286 1.5516 0.3391
H 3.5723 0.7527 0.4603 0.3519
H 3.1776 0.0436 3.2775 0.3047
H 3.3584 -1.0512 1.9348 0.3689
H 0.6368 -2.7572 3.7874 0.3167
H 2.2336 -2.0493 3.7057 0.2976
C 0.4999 5.0679 -1.4796 -2.1424
C 0.4531 3.9228 -0.4797 2.5361
C -0.9448 3.7921 0.1361 -1.7756
C 1.4670 4.1552 0.6358 -1.6422
N 0.8605 2.6730 -1.1497 -0.2046
N -0.1663 2.2263 -2.0505 -0.6649
H 0.1771 6.0049 -1.0183 0.3465
H -0.1537 4.8537 -2.3262 0.4300
H 1.5168 5.1886 -1.8590 0.4393
H -1.2275 4.6940 0.6894 0.4854
H -0.9714 2.9513 0.8329 0.1753
H -1.7001 3.6219 -0.6318 0.4788
H 1.2795 5.1229 1.1090 0.4411
H 2.4820 4.1506 0.2325 0.4461
H 1.3907 3.3801 1.4004 0.0590
H 0.9851 1.9849 -0.4073 0.1472
H 0.2736 1.5683 -2.6842 0.2335
H -0.8642 1.6993 -1.5286 0.2022
Br 0.8860 -8.4685 -2.4084 -0.2276
C 0.4981 -6.6624 -1.9896 0.2977
C -0.5261 -6.3672 -1.1127 -0.7082
C -0.7669 -5.0267 -0.8496 -0.2003
N -0.0669 -4.0338 -1.3870 0.2009
C 0.9234 -4.3473 -2.2204 0.0216
C 1.2459 -5.6540 -2.5596 -0.7749
H -1.1116 -7.1422 -0.6396 0.4080
H -1.5609 -4.7253 -0.1768 0.3786
H 1.4851 -3.5081 -2.6126 0.1074
H 2.0628 -5.8612 -3.2356 0.4342
F 4.2788 -1.2296 -5.6268 -0.3800
C 3.4222 -1.1621 -4.5474 0.5861
C 3.9429 -1.2646 -3.2773 -0.8661
C 3.0564 -1.2041 -2.1952 -0.2522
C 1.6599 -1.0194 -2.3028 -0.5801
C 1.2435 -0.9213 -3.6455 -0.2727
C 2.0761 -0.9922 -4.7725 -0.6383
H 5.0108 -1.3985 -3.1470 0.3837
H 3.5147 -1.3182 -1.2133 0.3683
H 0.1852 -0.7848 -3.8766 0.3251
H 1.7061 -0.9128 -5.7877 0.3830
C -4.9318 3.1898 1.4168 -1.5772
C -3.8864 2.3931 2.1346 1.1359
C -3.0598 2.9842 3.0775 -0.7149
C -2.0572 2.2556 3.6938 0.2323
Cl -1.0008 3.0715 4.8559 -0.3236
C -1.8513 0.9259 3.3987 -0.7106
C -2.6893 0.3143 2.4730 -0.6992
C -3.6846 1.0411 1.8444 0.6734
O -4.5100 0.5237 0.9021 -0.4763
C -4.2443 -0.8092 0.4991 -0.6865
C -2.9028 -0.9934 -0.2109 0.7109
O -2.2865 0.0244 -0.6032 -0.6929
O -2.4862 -2.1949 -0.2480 -0.7949